_Entries_
'''
# GGA-PBE Ca5Cu, relaxed
data_Ca5Cu
_symmetry_space_group_name_H-M 'C m m m'
_symmetry_Int_Tables_number 65
_symmetry_space_group_name_Hall '-C 2 2'
_cell_length_a 4.1875
_cell_length_b 16.9891
_cell_length_c 5.9121
_cell_angle_alpha 90.00
_cell_angle_beta 90.00
_cell_angle_gamma 90.00
loop_
_atom_site_label
_atom_site_type_symbol
_atom_site_fract_x
_atom_site_fract_y
_atom_site_fract_z
Ca1 Ca 0.0000 0.0000 0.0000
Ca2 Ca 0.0000 0.1363 0.5000
Ca3 Ca 0.0000 0.3323 0.0000
Cu1 Cu 0.0000 0.5000 0.5000
# formation energy from the elements = 0.100 eV per atom

# GGA-PBE Zr4CoSb, relaxed
data_Zr4CoSb
_symmetry_space_group_name_H-M 'P 1 21/m 1'
_symmetry_Int_Tables_number 11
_symmetry_space_group_name_Hall '-P 2yb'
_cell_length_a 5.6520
_cell_length_b 6.1236
_cell_length_c 7.5592
_cell_angle_alpha 90.00
_cell_angle_beta 97.01
_cell_angle_gamma 90.00
loop_
_atom_site_label
_atom_site_type_symbol
_atom_site_fract_x
_atom_site_fract_y
_atom_site_fract_z
Zr1 Zr 0.1064 0.2500 0.0542
Zr2 Zr 0.1390 0.7500 0.3528
Zr3 Zr 0.3798 0.5045 0.7819
Co1 Co 0.3226 0.7500 0.0508
Sb1 Sb 0.2820 0.2500 0.4379
# formation energy from raw total energies = -0.376 eV per atom

Number 1: Fermi-level density of states 6.9 states/eV/f.u.. Number 2: Fermi-level density of states 5.9 states/eV/f.u..

=====

Record 1
A relaxed Nd2SmTm9 crystal. Source: Alexandria via LeMat-Bulk, functional GGA-PBE.

a b c (Å): 11.1695 11.1695 3.4936
angles (deg): 90.00 90.00 120.00
Fractional coordinates of all 12 atoms:
1 Nd 0.3333 0.6667 0.0000
2 Nd 0.6667 0.3333 0.0000
3 Sm 0.0000 0.0000 0.0000
4 Tm 0.0000 0.5000 0.0000
5 Tm 0.1755 0.3511 0.5000
6 Tm 0.1755 0.8245 0.5000
7 Tm 0.3511 0.1755 0.5000
8 Tm 0.5000 0.0000 0.0000
9 Tm 0.5000 0.5000 0.0000
10 Tm 0.6489 0.8245 0.5000
11 Tm 0.8245 0.1755 0.5000
12 Tm 0.8245 0.6489 0.5000

Output
Energy of formation in eV per atom: 0.07
Raw total energy in eV/atom: -4.473
DOS(E_F) in states/eV per cell: 18.84

Record 2
A relaxed In2AgSe crystal. Source: Alexandria via LeMat-Bulk, functional GGA-PBE.

a b c (Å): 6.0823 8.1272 3.9673
angles (deg): 90.00 100.47 90.00
Fractional coordinates of all 8 atoms:
1 In 0.2500 0.2500 0.0000
2 In 0.2500 0.7500 0.0000
3 In 0.7500 0.2500 0.0000
4 In 0.7500 0.7500 0.0000
5 Ag 0.0000 0.0000 0.5000
6 Ag 0.5000 0.5000 0.5000
7 Se 0.0000 0.5000 0.5000
8 Se 0.5000 0.0000 0.5000

Output
Formation energy from raw total energies in meV per atom: -36
Raw total energy in eV/atom: -2.989
DOS(E_F) in states/eV per cell: 2.71

Record 3
A relaxed ZnCu3F7 crystal. Source: Alexandria via LeMat-Bulk, functional GGA-PBE.

a b c (Å): 5.5929 5.5929 5.5929
angles (deg): 102.66 102.66 102.66
Fractional coordinates of all 11 atoms:
1 Zn 0.0000 0.0000 0.0000
2 Cu 0.4487 0.4487 0.8259
3 Cu 0.4487 0.8259 0.4487
4 Cu 0.8259 0.4487 0.4487
5 F 0.1608 0.1608 0.7900
6 F 0.1608 0.7900 0.1608
7 F 0.2017 0.5726 0.5726
8 F 0.5726 0.2017 0.5726
9 F 0.5726 0.5726 0.2017
10 F 0.7152 0.7152 0.7152
11 F 0.7900 0.1608 0.1608

Output
Formation energy from raw total energies in meV per atom: -1587
Raw total energy in eV/atom: -4.010
DOS(E_F) in states/eV per cell: 7.09

Record 4
A relaxed SrTaFe crystal. Source: Alexandria via LeMat-Bulk, functional GGA-PBE.

a b c (Å): 6.4375 6.4375 6.4375
angles (deg): 90.00 90.00 90.00
Fractional coordinates of all 12 atoms:
1 Sr 0.0000 0.0000 0.0000
2 Sr 0.0000 0.5000 0.5000
3 Sr 0.5000 0.0000 0.5000
4 Sr 0.5000 0.5000 0.0000
5 Ta 0.0000 0.0000 0.5000
6 Ta 0.0000 0.5000 0.0000
7 Ta 0.5000 0.0000 0.0000
8 Ta 0.5000 0.5000 0.5000
9 Fe 0.2500 0.2500 0.7500
10 Fe 0.2500 0.7500 0.2500
11 Fe 0.7500 0.2500 0.2500
12 Fe 0.7500 0.7500 0.7500

Output
Energy of formation in eV per atom: 1.16
Raw total energy in eV/atom: -6.177
DOS(E_F) in states/eV per cell: 13.77

Record 5
A relaxed TeAsOsSe2 crystal. Source: Alexandria via LeMat-Bulk, functional GGA-PBE.

a b c (Å): 4.9718 4.9718 4.7420
angles (deg): 90.00 90.00 90.00
Fractional coordinates of all 5 atoms:
1 Te 0.0000 0.0000 0.0000
2 As 0.5000 0.5000 0.0000
'''

_Activity_
Please start at the top of the rows earlier on and retype each line, ending with the one that has "(Å): 6.4375".

_Reply_
# GGA-PBE Ca5Cu, relaxed
data_Ca5Cu
_symmetry_space_group_name_H-M 'C m m m'
_symmetry_Int_Tables_number 65
_symmetry_space_group_name_Hall '-C 2 2'
_cell_length_a 4.1875
_cell_length_b 16.9891
_cell_length_c 5.9121
_cell_angle_alpha 90.00
_cell_angle_beta 90.00
_cell_angle_gamma 90.00
loop_
_atom_site_label
_atom_site_type_symbol
_atom_site_fract_x
_atom_site_fract_y
_atom_site_fract_z
Ca1 Ca 0.0000 0.0000 0.0000
Ca2 Ca 0.0000 0.1363 0.5000
Ca3 Ca 0.0000 0.3323 0.0000
Cu1 Cu 0.0000 0.5000 0.5000
# formation energy from the elements = 0.100 eV per atom

# GGA-PBE Zr4CoSb, relaxed
data_Zr4CoSb
_symmetry_space_group_name_H-M 'P 1 21/m 1'
_symmetry_Int_Tables_number 11
_symmetry_space_group_name_Hall '-P 2yb'
_cell_length_a 5.6520
_cell_length_b 6.1236
_cell_length_c 7.5592
_cell_angle_alpha 90.00
_cell_angle_beta 97.01
_cell_angle_gamma 90.00
loop_
_atom_site_label
_atom_site_type_symbol
_atom_site_fract_x
_atom_site_fract_y
_atom_site_fract_z
Zr1 Zr 0.1064 0.2500 0.0542
Zr2 Zr 0.1390 0.7500 0.3528
Zr3 Zr 0.3798 0.5045 0.7819
Co1 Co 0.3226 0.7500 0.0508
Sb1 Sb 0.2820 0.2500 0.4379
# formation energy from raw total energies = -0.376 eV per atom

Number 1: Fermi-level density of states 6.9 states/eV/f.u.. Number 2: Fermi-level density of states 5.9 states/eV/f.u..

=====

Record 1
A relaxed Nd2SmTm9 crystal. Source: Alexandria via LeMat-Bulk, functional GGA-PBE.

a b c (Å): 11.1695 11.1695 3.4936
angles (deg): 90.00 90.00 120.00
Fractional coordinates of all 12 atoms:
1 Nd 0.3333 0.6667 0.0000
2 Nd 0.6667 0.3333 0.0000
3 Sm 0.0000 0.0000 0.0000
4 Tm 0.0000 0.5000 0.0000
5 Tm 0.1755 0.3511 0.5000
6 Tm 0.1755 0.8245 0.5000
7 Tm 0.3511 0.1755 0.5000
8 Tm 0.5000 0.0000 0.0000
9 Tm 0.5000 0.5000 0.0000
10 Tm 0.6489 0.8245 0.5000
11 Tm 0.8245 0.1755 0.5000
12 Tm 0.8245 0.6489 0.5000

Output
Energy of formation in eV per atom: 0.07
Raw total energy in eV/atom: -4.473
DOS(E_F) in states/eV per cell: 18.84

Record 2
A relaxed In2AgSe crystal. Source: Alexandria via LeMat-Bulk, functional GGA-PBE.

a b c (Å): 6.0823 8.1272 3.9673
angles (deg): 90.00 100.47 90.00
Fractional coordinates of all 8 atoms:
1 In 0.2500 0.2500 0.0000
2 In 0.2500 0.7500 0.0000
3 In 0.7500 0.2500 0.0000
4 In 0.7500 0.7500 0.0000
5 Ag 0.0000 0.0000 0.5000
6 Ag 0.5000 0.5000 0.5000
7 Se 0.0000 0.5000 0.5000
8 Se 0.5000 0.0000 0.5000

Output
Formation energy from raw total energies in meV per atom: -36
Raw total energy in eV/atom: -2.989
DOS(E_F) in states/eV per cell: 2.71

Record 3
A relaxed ZnCu3F7 crystal. Source: Alexandria via LeMat-Bulk, functional GGA-PBE.

a b c (Å): 5.5929 5.5929 5.5929
angles (deg): 102.66 102.66 102.66
Fractional coordinates of all 11 atoms:
1 Zn 0.0000 0.0000 0.0000
2 Cu 0.4487 0.4487 0.8259
3 Cu 0.4487 0.8259 0.4487
4 Cu 0.8259 0.4487 0.4487
5 F 0.1608 0.1608 0.7900
6 F 0.1608 0.7900 0.1608
7 F 0.2017 0.5726 0.5726
8 F 0.5726 0.2017 0.5726
9 F 0.5726 0.5726 0.2017
10 F 0.7152 0.7152 0.7152
11 F 0.7900 0.1608 0.1608

Output
Formation energy from raw total energies in meV per atom: -1587
Raw total energy in eV/atom: -4.010
DOS(E_F) in states/eV per cell: 7.09

Record 4
A relaxed SrTaFe crystal. Source: Alexandria via LeMat-Bulk, functional GGA-PBE.

a b c (Å): 6.4375 6.4375 6.4375